**To do**
Filter the rows further below: keep the lines with the word "coordinates".
**Given**
# 1
Computed, not measured: a relaxed structure of PmYBeCu at the GGA-PBE level of DFT.

The formation enthalpy at 0 K is -2.0 kJ per mole of atoms. As for the calculated density: 5.93 g cm⁻³.

a = 4.952 Å, b = 4.952 Å, c = 4.952 Å
α = 60.00°, β = 60.00°, γ = 60.00°
Atoms (fractional coordinates):
Cu1 0.000 0.000 0.000
Be1 0.500 0.500 0.500
Pm1 0.250 0.250 0.250
Y1 0.750 0.750 0.750

=====

# 2
Computed, not measured: a relaxed structure of AcTbO3 at the GGA-PBE level of DFT.

Its formation energy (no corrections) is -3401 meV per atom. As for the calculated density: 7.12 g cm⁻³.

a = 4.098 Å, b = 6.018 Å, c = 9.271 Å
α = 117.64°, β = 90.00°, γ = 90.00°
Atoms (fractional coordinates):
Tb1 0.750 0.831 0.167
O1 0.250 0.941 0.117
O2 0.750 0.199 0.379
O3 0.750 0.674 0.338
O4 0.250 0.862 0.662
O5 0.750 0.595 0.883
O6 0.250 0.337 0.621
Ac1 0.250 0.433 0.386
Tb2 0.250 0.705 0.833
Ac2 0.750 0.103 0.614

=====

# 3
Computed, not measured: a relaxed structure of Cs3RbCd3 at the GGA-PBE level of DFT.

The formation enthalpy at 0 K is -4.9 kJ per mole of atoms. As for the calculated density: 2.95 g cm⁻³. Its energy above the most stable polymorph in this dataset is 0 kJ/mol of formula units.

a = 5.184 Å, b = 14.342 Å, c = 14.342 Å
α = 120.00°, β = 90.00°, γ = 90.00°
Atoms (fractional coordinates):
Cd1 0.250 0.878 0.010
Rb1 0.250 0.667 0.333
Cd2 0.750 0.010 0.132
Cs1 0.250 0.024 0.339
Cd3 0.750 0.868 0.878
Cs2 0.750 0.976 0.661
Cs3 0.250 0.661 0.685
Cs4 0.250 0.315 0.976
Cd4 0.250 0.132 0.122
Cd5 0.250 0.990 0.868
Cs5 0.750 0.339 0.315
Cd6 0.750 0.122 0.990
Rb2 0.750 0.333 0.667
Cs6 0.750 0.685 0.024

=====

# 4
Computed, not measured: a relaxed structure of MnTc2 at the GGA-PBE level of DFT.

The formation enthalpy at 0 K is 0.0 kJ per mole of atoms. As for the calculated density: 10.26 g cm⁻³. Its energy above the most stable polymorph in this dataset is 0 kJ/mol of formula units.

a = 4.635 Å, b = 4.785 Å, c = 4.785 Å
α = 103.56°, β = 118.97°, γ = 61.03°
Atoms (fractional coordinates):
Mn1 0.750 0.000 0.000
Mn2 0.250 0.000 0.000
Tc1 0.850 0.800 0.500
Tc2 0.150 0.200 0.500
Tc3 0.650 0.500 0.800
Tc4 0.350 0.500 0.200

=====

# 5
Computed, not measured: a relaxed structure of GaOF3 at the GGA-PBE level of DFT.

Its formation energy (no corrections) is -1936 meV per atom. As for the calculated density: 2.82 g cm⁻³. Its energy above the most stable polymorph in this dataset is 0 kJ/mol of formula units.

a = 5.337 Å, b = 8.552 Å, c = 8.552 Å
α = 118.81°, β = 95.65°, γ = 95.65°
Atoms (fractional coordinates):
F1 0.023 0.823 0.333
F2 0.971 0.998 0.823
Ga1 0.250 0.168 0.832
F3 0.477 0.667 0.177
F4 0.448 0.999 0.668
F5 0.948 0.668 0.999
F6 0.029 0.002 0.177
F7 0.529 0.177 0.002
F8 0.552 0.001 0.332
Ga2 0.750 0.832 0.168
F9 0.523 0.333 0.823
O1 0.984 0.478 0.419
Ga3 0.250 0.830 0.170
F10 0.471 0.823 0.998
F11 0.052 0.332 0.001
O2 0.484 0.419 0.478
Ga4 0.750 0.170 0.830
O3 0.016 0.522 0.581
O4 0.516 0.581 0.522
F12 0.977 0.177 0.667

=====

# 6
Computed, not measured: a relaxed structure of CeSc4Tl2 at the GGA-PBE level of DFT.

The formation enthalpy at 0 K is -11.3 kJ per mole of atoms. As for the calculated density: 6.45 g cm⁻³.

a = 4.889 Å, b = 8.758 Å, c = 8.758 Å
α = 90.00°, β = 90.00°, γ = 90.00°
Atoms (fractional coordinates):
Tl1 0.500 0.287 0.287
Sc1 0.000 0.905 0.644
Sc2 0.500 0.595 0.144
Sc3 0.500 0.144 0.595
Sc4 0.500 0.856 0.405
Tl2 0.500 0.713 0.713
Sc5 0.000 0.644 0.905
Ce1 0.500 0.000 0.000
Ce2 0.000 0.500 0.500
Sc6 0.000 0.356 0.095
Sc7 0.000 0.095 0.356
Sc8 0.500 0.405 0.856
Tl3 0.000 0.213 0.787
Tl4 0.000 0.787 0.213

=====

# 7
Computed, not measured: a relaxed structure of Th2Mg6Cd at the GGA-PBE level of DFT.

The formation enthalpy at 0 K is 1.5 kJ per mole of atoms. As for the calculated density: 5.17 g cm⁻³.

a = 3.213 Å, b = 9.132 Å, c = 9.132 Å
α = 59.99°, β = 89.97°, γ = 89.97°
Atoms (fractional coordinates):
Mg1 0.499 0.672 0.000
Mg2 0.499 0.000 0.672
Mg3 0.500 0.672 0.328
Mg4 0.500 0.328 0.672
**Solution**
Atoms (fractional coordinates):
Atoms (fractional coordinates):
Atoms (fractional coordinates):
Atoms (fractional coordinates):
Atoms (fractional coordinates):
Atoms (fractional coordinates):
Atoms (fractional coordinates):